## Listing
┌──
TbUSe2O | PBE-GGA | optimized geometry

Summary:
SG: No. 129
Formation energy without anion corrections in eV per atom: -2.107
N(E_F) in states/eV/cell: 17.9
Calculated volume in Å³ per cell: 220.1

Cell lengths 3.9728, 3.9728, 13.9436 Å; angles 90.00, 90.00, 90.00 degrees
Last column: magnetic moment on the atom in μB.
Element x y z (fractional)
1 Tb 0.5000 0.0000 0.1022  0.01
2 Tb 0.0000 0.5000 0.8978  0.01
3 U 0.5000 0.0000 0.5892  2.39
4 U 0.0000 0.5000 0.4108  2.39
5 Se 0.0000 0.5000 0.6895  -0.04
6 Se 0.0000 0.5000 0.1108  0.00
7 Se 0.5000 0.0000 0.8892  0.00
8 Se 0.5000 0.0000 0.3105  -0.04
9 O 0.0000 0.0000 0.5000  -0.07
10 O 0.5000 0.5000 0.5000  -0.07

TbYSeO2 | PBE-GGA | optimized geometry

Summary:
SG: No. 107
Formation energy without anion corrections in eV per atom: -3.054
N(E_F) in states/eV/cell: 0.0
Calculated volume in Å³ per cell: 90.5

Cell lengths 3.8522, 3.8522, 6.6818 Å; angles 106.75, 106.75, 90.00 degrees
Element x y z (fractional)
1 Tb 0.1566 0.1566 0.3131
2 Y 0.8434 0.8434 0.6868
3 Se 0.4996 0.4996 0.9992
4 O 0.7502 0.2502 0.5004
5 O 0.2502 0.7502 0.5004

TbYSe2O | PBE-GGA | optimized geometry

Summary:
SG: No. 129
Formation energy without anion corrections in eV per atom: -2.420
N(E_F) in states/eV/cell: 2.2
Calculated volume in Å³ per cell: 230.9

Cell lengths 3.9804, 3.9804, 14.5717 Å; angles 90.00, 90.00, 90.00 degrees
Element x y z (fractional)
1 Tb 0.5000 0.0000 0.5758
2 Tb 0.0000 0.5000 0.4242
3 Y 0.5000 0.0000 0.1287
4 Y 0.0000 0.5000 0.8713
5 Se 0.0000 0.5000 0.6906
6 Se 0.0000 0.5000 0.0879
7 Se 0.5000 0.0000 0.9121
8 Se 0.5000 0.0000 0.3094
9 O 0.0000 0.0000 0.5000
10 O 0.5000 0.5000 0.5000

Tc2SeO | PBE-GGA | optimized geometry

Summary:
SG: No. 122
Formation energy without anion corrections in eV per atom: -0.196
N(E_F) in states/eV/cell: 5.8
E above lowest polymorph in meV/atom: 0
Calculated volume in Å³ per cell: 122.9

Cell lengths 4.2561, 4.2561, 7.4210 Å; angles 73.34, 73.34, 90.00 degrees
Element x y z (fractional)
1 O 0.5000 0.5000 0.0000
2 O 0.2500 0.7500 0.5000
3 Tc 0.5321 0.1250 0.2500
4 Tc 0.2179 0.6250 0.2500
5 Tc 0.3750 0.4679 0.7500
6 Tc 0.8750 0.7821 0.7500
7 Se 0.0000 0.0000 0.0000
8 Se 0.7500 0.2500 0.5000

Tc2SeO | PBE-GGA | optimized geometry

Summary:
SG: No. 225
Formation energy without anion corrections in eV per atom: 0.165
N(E_F) in states/eV/cell: 3.9
E above lowest polymorph in meV/atom: 361
Calculated volume in Å³ per cell: 51.1

Cell lengths 4.1647, 4.1647, 4.1647 Å; angles 60.00, 60.00, 60.00 degrees
Element x y z (fractional)
1 O 0.0000 0.0000 0.0000
2 Tc 0.2500 0.2500 0.2500
3 Tc 0.7500 0.7500 0.7500
4 Se 0.5000 0.5000 0.5000

TcSeO | PBE-GGA | optimized geometry

Summary:
SG: No. 4
Formation energy without anion corrections in eV per atom: -0.593
N(E_F) in states/eV/cell: 7.6
Calculated volume in Å³ per cell: 196.0

Cell lengths 5.4887, 6.0260, 6.1789 Å; angles 106.43, 90.00, 90.00 degrees
Element x y z (fractional)
1 Se 0.2346 0.3580 0.8675
2 Se 0.2430 0.9411 0.2522
3 Se 0.7430 0.0589 0.7478
4 Se 0.7346 0.6420 0.1325
5 O 0.7696 0.5675 0.6118
6 O 0.7689 0.1834 0.2814
7 O 0.2689 0.8166 0.7186
8 O 0.2696 0.4325 0.3882
9 Tc 0.9874 0.2886 0.5251
10 Tc 0.4874 0.7114 0.4749
11 Tc 0.5003 0.2899 0.1449
12 Tc 0.0003 0.7101 0.8551

Tc3SeO12 | PBE-GGA | optimized geometry

Summary:
SG: No. 161
Formation energy without anion corrections in eV per atom: -1.087
N(E_F) in states/eV/cell: 15.5
Calculated volume in Å³ per cell: 654.0

Cell lengths 8.7116, 8.7116, 11.1492 Å; angles 67.00, 67.00, 60.00 degrees
Last column: magnetic moment on the atom in μB.
Element x y z (fractional)
1 Tc 0.7146 0.3177 0.0055  0.14
2 Tc 0.2146 0.4621 0.5055  0.14
3 Tc 0.8177 0.2146 0.5055  0.14
4 Tc 0.3177 0.9621 0.0055  0.14
5 Tc 0.9621 0.7146 0.0055  0.14
6 Tc 0.4621 0.8177 0.5055  0.14
7 Se 0.0963 0.0963 0.7112  0.07
8 Se 0.5963 0.5963 0.2112  0.07
9 O 0.1014 0.0913 0.0835  0.02
10 O 0.2299 0.2296 0.6224  0.00
11 O 0.9550 0.0090 0.4636  0.04
12 O 0.8886 0.3174 0.8588  0.01
└──

## Work order
Work out how many lines earlier on have the word "states" in them; a number is enough.

## Done
7